Reduce – Or – Eliminate Sweeteners In Our Beverages?

Tuesday, March 20th, 2018 Comments

There is a lot of buzz in the beverage industry about reducing sugar in beverages. Everyone is looking for the next best “artificial sweetener.” What I hear from most woman is they want to eliminate sweeteners in beverages all together. That makes sense – they just aren’t good for us. Net-Net: THEY TRICK YOUR TASTE BUDS THEY TRICK YOUR […]

Dehydration Headaches

Saturday, March 17th, 2018 Comments

Click here for the video! Skiers are some of the most dehydrated athletes. Cold air tends to be very dry (even in the Midwest!) and in dry air more fluid is lost as vapor through breathing. Who knew? Dehydration – any time of the year – can cause headaches. Kim knows about migraines when she skis. Meet Kim. Awesome skier, migraine […]

Sunset Foods Celebrated Women Entrepreneurs!

Sunday, March 11th, 2018 Comments

Sunset Foods Libertyville celebrated women entrepreneurs yesterday. What a great recognition of all the women making a difference and doing their thing. CraftWater loved being a part of it.  

Ready to Feel Amazing?

Thursday, March 8th, 2018 Comments

On days when you feel amazing. Do you feel…. Highly energetic? Incredibly productive? Perhaps your skin is glowing? Now think if the opposite. Are you feel fatigued, sluggish, and your skin is dull? Water is Your Best Friend! We all know water is an important part of our diet. Did you know “water makes up […]

CraftWater Helps Midtown Athletic Club Willowbrook Celebrate Their Epic Winter Challenge!

Monday, March 5th, 2018 Comments

CraftWater loves Midtown Athletic Club Willowbrook. We enjoyed being a part of their Epic Winter Challenge celebration!

Skiers Are Typically Very Dehydrated!

Sunday, March 4th, 2018 Comments

Skiers are some of the most dehydrated athletes! Their sweat evaporates quickly. Since it is cold – they don’t feel thirsty. Rehydrate and rejuvenate with CraftWater!

Ready to Rejuvenate?

Monday, February 12th, 2018 Comments

Great hydration helps you rejuvenate whether you’re running around at work, running errands, or running after your kids. Magnesium contributes to a reduction of tiredness and fatigue and reduces lactic acid, which is partly responsible for post-exercise pain. Magnesium is a necessary electrolyte essential for proper hydration. CraftWater contains Magnesium.  Refreshingly delicious. Truly hydrating.  0 sugar. 0 sweetener. 0 carbs. […]

Hydration Cushions Joints

Monday, January 29th, 2018 Comments

Being well hydrated removes toxins. But, what else? Hydration Cushions Joints Hydration is important whether you’re running a marathon or a marathon of errands. … Water helps cushion and lubricate joints, organs, and tissues. Not drinking enough water, exercising and drinking alcohol depletes electrolytes and can cause dehydration. Even when you drink plenty of plain water, if electrolytes aren’t […]

Hydration Removes Toxins

Thursday, January 18th, 2018 Comments

Everyone knows…drink 8 glasses of water a day. But why? Hydration Removes Toxins Your liver is tasked with converting certain toxins, like alcohol, into less harmful compounds that can be removed from your body. Without enough water, your liver can’t function at its best, so you don’t clear toxins as efficiently. Water also keeps toxins out by nourishing your skin. Awesome, I […]

Busy Lifestyle

Thursday, January 11th, 2018 Comments

# Crystal structures, kept here for reference
........
The following is a PBE-GGA calculation of a relaxed structure of SrLa4S5, from Alexandria via LeMat-Bulk.

```
SrLa4S5
1.0
6.944 -2.081 0.000
6.944 2.081 0.000
-5.063 0.000 8.909
Sr La S
1 4 5
Direct
0.000 0.000 0.000 Sr
0.198 0.198 0.794 La
0.401 0.401 0.597 La
0.599 0.599 0.403 La
0.802 0.802 0.206 La
0.000 0.000 0.500 S
0.199 0.199 0.301 S
0.397 0.397 0.099 S
0.603 0.603 0.901 S
0.801 0.801 0.699 S
```

Calculated values
- volume (Å³ per atom) = 25.75
- space group = C2/m, No. 12
- energy relative to the elements, uncorrected (meV per atom) = -2144

***

The following is a PBE-GGA calculation of a relaxed structure of Sr2LaS2, from Alexandria via LeMat-Bulk.

```
Sr2LaS2
1.0
8.107 0.000 0.000
0.000 8.107 0.000
0.000 0.000 4.192
Sr La S
4 2 4
Direct
0.155 0.345 0.000 Sr
0.345 0.845 0.000 Sr
0.655 0.155 0.000 Sr
0.845 0.655 0.000 Sr
0.000 0.000 0.500 La
0.500 0.500 0.500 La
0.159 0.659 0.500 S
0.341 0.159 0.500 S
0.659 0.841 0.500 S
0.841 0.341 0.500 S
```

Calculated values
- volume (Å³ per atom) = 27.55
- space group = P4/mbm, No. 127
- energy above the most stable polymorph in this dataset (meV/atom) = 0
- energy relative to the elements, uncorrected (meV per atom) = -1412

***

The following is a PBE-GGA calculation of a relaxed structure of SrLaS2, from Alexandria via LeMat-Bulk.

```
SrLaS2
1.0
2.192 1.266 8.581
-2.192 1.266 8.581
0.000 -2.532 8.581
Sr La S
1 1 2
Direct
0.000 0.000 0.000 Sr
0.500 0.500 0.500 La
0.111 0.111 0.111 S
0.889 0.889 0.889 S
```

Calculated values
- volume (Å³ per atom) = 35.72
- space group = R-3m, No. 166
- energy above the most stable polymorph in this dataset (meV/atom) = 372
- energy relative to the elements, uncorrected (meV per atom) = -1738

***

The following is a PBE-GGA calculation of a relaxed structure of Sr3La4S8, from Alexandria via LeMat-Bulk.

```
Sr3La4S8
1.0
5.938 -5.952 0.000
5.938 5.952 0.000
-5.921 0.000 5.970
Sr La S
3 4 8
Direct
0.000 0.000 0.000 Sr
0.000 0.500 0.000 Sr
0.500 0.000 0.000 Sr
0.000 0.500 0.500 La
0.500 0.000 0.500 La
0.500 0.500 0.000 La
0.500 0.500 0.500 La
0.252 0.748 0.000 S
0.257 0.743 0.500 S
0.258 0.258 0.506 S
0.265 0.265 0.019 S
0.735 0.735 0.981 S
0.742 0.742 0.494 S
0.743 0.257 0.500 S
0.748 0.252 0.000 S
```

Calculated values
- volume (Å³ per atom) = 28.14
- space group = C2/m, No. 12
- energy relative to the elements, uncorrected (meV per atom) = -2116

***

The following is a PBE-GGA calculation of a relaxed structure of Sr2LaS3, from Alexandria via LeMat-Bulk.

```
Sr2LaS3
1.0
-2.111 2.988 6.358
2.111 -2.988 6.358
2.111 2.988 -6.358
Sr La S
2 1 3
Direct
0.168 0.168 0.000 Sr
0.832 0.832 0.000 Sr
0.500 0.500 0.000 La
0.000 0.500 0.500 S
0.338 0.838 0.500 S
0.662 0.162 0.500 S
```

Calculated values
- volume (Å³ per atom) = 26.74
- space group = Immm, No. 71
- energy relative to the elements, uncorrected (meV per atom) = -2109

***

The following is a PBE-GGA calculation of a relaxed structure of Sr4LaS5, from Alexandria via LeMat-Bulk.

```
Sr4LaS5
1.0
........
# The crystal structures stop here

You’ve tried CraftWater. You like CraftWater! We thank you. We believe your beverage should work for you. It should help support your busy lifestyle.   Perhaps that’s why you drink CraftWater. Because you love how it makes you feel! After all, it’s a delicious way to stay well hydrated. The perfect blend of amazing flavors (of course…no sweetener!) and key […]